What Happens When Your Reps Leave the Industry?
After all the hard work, late nights, and constant grind for that feature spec or pilot script (or, more likely, many scripts), you finally do it—you land a manager and/or agent! Congrats!
You feel lighter. An anvil sitting on your shoulders has been lifted. Suddenly, your scripts are being read, you’re taking meetings—heck, you feel like a writer! Maybe you even get staffed or get an open assignment writing job. Woo-hoo!
Then the WGA and SAG strikes happened—right after COVID shut down the entertainment industry. Now, IATSE and TAG may strike, movies are written off for tax purposes, there’s constant organizational restructuring within the studios, layoffs are really “in” right now, the threat of major players being bought out looms large … it’s a LOT these days, isn’t it?
And that amazing rep you have? They’re out. It’s not you, it’s them.
Poof! The rep is gone. What now?
### Between two parts of the page: data records
~~~
1.
Starting from a crystal structure in Alexandria, relaxed with GGA-PBE, the PXRD pattern of LuAl8Fe4 was calculated for λ = 1.5418 Å (Cu Kα).

Atomic structure:
```
data_LuAl8Fe4
_chemical_formula_sum 'Lu2 Al16 Fe8'
_symmetry_space_group_name_H-M 'I 4/m m m'
_symmetry_Int_Tables_number 139
_symmetry_space_group_name_Hall '-I 4 2'
_cell_length_a 8.6516
_cell_length_b 8.6516
_cell_length_c 5.0106
_cell_angle_alpha 90.00
_cell_angle_beta 90.00
_cell_angle_gamma 90.00
loop_
_atom_site_label
_atom_site_fract_x
_atom_site_fract_y
_atom_site_fract_z
_atom_site_occupancy
Lu1 0.0000 0.0000 0.0000 1
Al1 0.0000 0.2194 0.5000 1
Al2 0.0000 0.3392 0.0000 1
Fe1 0.2500 0.2500 0.2500 1
```

The 10 most intense peaks (2θ = 15–90°), sorted by position:
- hkl 1 0 1, 20.5 deg, I = 31
- hkl 2 2 0, 29.2 deg, I = 63
- hkl 3 1 0, 32.7 deg, I = 18
- hkl 3 0 1, 35.9 deg, I = 31
- hkl 2 0 2, 41.7 deg, I = 100
- hkl 4 0 0, 41.8 deg, I = 38
- hkl 2 2 2, 46.9 deg, I = 13
- hkl 4 2 2, 60.4 deg, I = 25
- hkl 6 2 0, 68.6 deg, I = 14
- hkl 6 0 2, 76.2 deg, I = 24

***

2.
Starting from a crystal structure in Alexandria, relaxed with GGA-PBE, the PXRD pattern of LuAl7Fe5 was calculated for λ = 1.5418 Å (Cu Kα).

Atomic structure:
```
data_LuAl7Fe5
_chemical_formula_sum 'Lu2 Al14 Fe10'
_symmetry_space_group_name_H-M 'I m m 2'
_symmetry_Int_Tables_number 44
_symmetry_space_group_name_Hall 'I 2 -2'
_cell_length_a 5.0048
_cell_length_b 8.6025
_cell_length_c 8.5813
_cell_angle_alpha 90.00
_cell_angle_beta 90.00
_cell_angle_gamma 90.00
loop_
_atom_site_label
_atom_site_fract_x
_atom_site_fract_y
_atom_site_fract_z
_atom_site_occupancy
Lu1 0.0000 0.0000 0.0000 1
Al1 0.0000 0.0000 0.3333 1
Al2 0.0000 0.0000 0.6552 1
Al3 0.0000 0.2922 0.4991 1
Al4 0.0000 0.3413 0.9856 1
Al5 0.0000 0.5000 0.2685 1
Fe1 0.0000 0.5000 0.7283 1
Fe2 0.2472 0.2506 0.2429 1
```

The 10 most intense peaks (2θ = 15–90°), sorted by position:
- hkl 1 0 1, 20.5 deg, I = 33
- hkl 1 1 2, 29.3 deg, I = 63
- hkl 0 2 2, 29.4 deg, I = 28
- hkl 0 1 3, 33.0 deg, I = 24
- hkl 1 0 3, 36.1 deg, I = 35
- hkl 2 2 0, 41.8 deg, I = 77
- hkl 0 4 0, 42.0 deg, I = 100
- hkl 0 0 4, 42.1 deg, I = 29
- hkl 2 2 4, 60.8 deg, I = 28
- hkl 3 3 2, 68.7 deg, I = 16
~~~
Has this happened to you? Don’t stress! Let’s break down what’s going on and how to mentally handle such a sudden shift:
- First: this isn’t about you. One friend of mine had a rep leave to go into publishing. Another knew an agent who left to become a ski instructor. Whatever the reason, it’s their decision. You don’t know their bank account or credit history—if someone wants to leave, that’s their right. Yes, it’s probably a pain in the butt for you in the short term, but everyone’s human, and after all, this is a business. Don’t take it personally.
- The financial struggle is real right now. Maybe your rep is struggling for personal reasons, but if they can’t make it work financially, let’s face it, they need to find other work. Remember, they don’t get paid until you get paid. It’s a business partnership. And it’s no one’s fault (well, maybe Zaslav, but I digress) that the entertainment business is going through growing pains.
- It’s not the end of the world. When your rep leaves, it can feel like your entire career has crumbled instantly. You worked so hard to get to this point! But trust us, it’s not the end. Not even close. So many other managers and agents are waiting to read your work.
- Vent to your industry friends. Your aunt is lovely, but unless she’s Susannah Grant, she probably doesn’t get what you’re going through. Talk to your fellow writer friends about this. Ask for some time and space to complain to them without judgment. You’ll feel better about the situation once you kvetch with like-minded folks. If that isn’t your style, write it down in a journal or yell into your pillow. Just get any angry, icky, bitter, resentful feelings out of your system.
- Don’t burn bridges. There’s no need to be a jerk. Even if your rep leaving feels awful, be chill. Everyone’s human, remember? Think about a bad breakup you’ve been through. Do you want to be the calm and reasonable person, or the person in the ex-relationship pitching a fit? In other words: be a mensch about it!
Now, let’s take a look at what’s in your power to help you take control of your career and pursue new representation:
- Ask your immediate network for help. They’re the most likely to be able to help you get read, since their recommendation will mean more than a random email. You can also query managers and agents—you never know who’s willing to read you!
- Ask your old rep for referrals to other managers. If they’re truly leaving the industry or can’t take you on anymore, they may be willing to give you a leg up by recommending you reach out to some of their colleagues.
- Let them know you were repped. When you’re pitching yourself to new reps, you should also mention you were previously repped. That way, they can feel confident that you’re worth their time (since you were already repped). You don’t need to go into details and blow up your old rep’s spot, but just let them know, “I was repped with ___, and I’m currently seeking new representation.”
- Do the work! Do the work that’s in your voice, with your words, in the genre you want to write in. Whether you’re crafting your own IP or adapting Shakespeare for a new generation, you want to put your best foot forward in addition to the great work you already have. It means making sure the work you have is up-to-date. If you haven’t written a new spec feature or pilot in a while, start outlining. Take another look at that half-idea you dropped a while back. Check your current scripts and treatments for grammar and spelling (seriously!). Once your work is ready, show it off as much as possible. Apply to contests and fellowships. Start a Subtack. Half the fun of creating is showing off, so do it—who knows, perhaps your new favorite rep will come across it.
Remember, your rep might be taking a different path, but that doesn’t mean you have to if you don’t want to. And if you do? That’s also fine. Hey, maybe there’s a snowboarding instructor position out there for someone who knows the ins and outs of Final Draft.
*Feature image by Jorm Sangsorn (Adobe)